Page 49 of Kennedy's Redemption (The Protectors 3)
Finally turning to look at her brother she saw the man. The worried one, the one who had aged since she left. His eyes weren’t laughing at some stupid stunt she pulled because the stupid stunt caused everyone around her so much pain. Pain that was meant for her and her alone.
Pulling back from her men she ran over to Ty, throwing herself into his arm. She was immediately swamped with his big arms protecting her, loving her, and in that moment she forgave them for their harsh accusations. She knew they felt everything as much as her. That they were just worried about her well-being.
“I’m sorry too, Tyler. I was just so overwhelmed and scared. I needed to figure out what to do with myself again, figure out who I was and where I was going. In an instant everything changed, and I was so lost,” she told them looking between both of her siblings so they understood she didn’t do it to hurt anyone.
“I didn’t mean to hurt anyone; you guys have to know this.” She pleaded with them.
“Fuck. Dammit, Kennedy, this isn’t easy for anyone. I know you were in a bad place but no more running kid, okay?” Nate begged with such a look of sadness on his face, her tears started coming faster.
“I promise,” she vowed.
“Thank fuck,” he smiled at her. That smile let her know they were going to be ok.
“Nathaniel! Language. If you don’t watch your tongue this baby’s first word is going to be fuck.” Keeley admonished him again.
“Sorry, Butterfly,” Nate told her sheepishly, pulling her into his arms.
Seeing her brothers so in love with Keeley and her love shining back at them made her realize all the things she was missing out on. What she could have if only she could find her medium. Forgive herself and move on.
One secret she hadn’t shared with anyone was the blame she placed on herself. If she’d been more aware, then she and Emily wouldn’t have been taken. If she’d paid more attention when her brothers and dads tried to teach her self-defence, she could have fought their abductors off. If she hadn’t been harassing their bodyguards so much, they could have anticipated what happened. So many what ifs haunted her mind.
Looking to Creed and Linc, she could envision a life of happiness with them. The white picket fence and two point five kids and a little dog. It was such a sharp image she was left breathless. They could see the change in her immediately, as they came closer with questions reflected in their eyes. She shook her head so they wouldn’t ask anything yet.
Clearing her throat, she looked back to her brothers as they held Keeley between them and asked, “Are you guys coming with us?”
“Nah, Ken, I think that’s something you gotta do,” Nate told her softly. Nodding her head, she braced herself for the emotional storm she would no doubt be heading into.
·?•? ?•?·
As they climbed into the SUV to take Kennedy to her parent’s house, Creed simmered with rage at her brothers for throwing what they had at her. He couldn’t believe it. Sure they were pissed she’d run and maybe they would always worry about it happening again, but never would he have dreamed of them throwing guilt onto her already turbulent emotions.
He understood why she ran, hell, almost anyone would have done the same. But then to finally find the courage to come back and immediately be assaulted with guilt was more than she should have had to take.
Once she was settled and buckled into the passenger seat, he threw the SUV into gear and they started their journey to her parents quietly, no one wanting to make the already tense situation worse. He was proud of her for standing up to them, making them understand only a small amount of her pain. But now he and Linc were tasked with protecting her from her parents because he could only imagine how they were feeling.
Adjustments would need to be made and apologies would have to be given, and people would have to make amends with decisions of the past, but there was nothing they wouldn’t save her from, and if that meant the anger of her family then they would do it. Already having a tenuous relationship with them about their decision on her recovery, he got more tense the closer they came to their house.
“Creed?” Kennedy broke the tense ride with her whispered question.
Crystal structures, kept here for reference
1.
A plane-wave DFT calculation with PBE was carried out for a relaxed Rb2PuCl3F3 crystal.

DOS at the Fermi energy: 7.20 states/eV/f.u.
Electronic total energy: -5.49 eV per atom
Size of the total moment: 4.00 μB/f.u.

Cell and atoms, written as extended XYZ:
```
9
Lattice="3.767 0.000 0.000 0.000 8.053 0.000 0.000 -4.026 6.974" Properties=species:S:1:pos:R:3 pbc="T T T"
Pu 0.000 0.000 0.000
Rb 1.883 4.026 2.325
Cl 0.000 2.631 4.558
Cl 0.000 -1.395 2.416
F 1.883 -3.297 5.711
F 1.883 6.595 0.000
F 1.883 0.729 1.263
Cl 0.000 2.790 0.000
Rb 1.883 0.000 4.649
```

---

2.
A plane-wave DFT calculation with PBE was carried out for a relaxed Rb2PuCl2F4 crystal.

DOS at the Fermi energy: 1.22 states/eV/f.u.
Electronic total energy: -5.80 eV per atom
Size of the total moment: 4.00 μB/f.u.

Cell and atoms, written as extended XYZ:
```
9
Lattice="6.925 -0.073 -0.106 -3.388 6.040 0.106 -3.388 -2.023 5.692" Properties=species:S:1:pos:R:3 pbc="T T T"
Cl -1.837 1.089 1.572
Cl -4.939 2.928 4.226
F 1.528 0.836 1.207
F -1.380 3.107 4.485
F -3.388 -0.281 4.485
Pu 0.000 0.000 0.000
Rb 0.074 -0.044 4.243
Rb 0.074 3.988 1.449
F -3.388 4.298 1.313
```

---

3.
A plane-wave DFT calculation with PBE was carried out for a relaxed PuTl2Cl2F2 crystal.

DOS at the Fermi energy: 11.80 states/eV/f.u.
Electronic total energy: -5.71 eV per atom
Size of the total moment: 5.00 μB/f.u.

Cell and atoms, written as extended XYZ:
```
7
Lattice="-1.723 -3.421 -2.440 4.121 -0.860 -1.705 0.707 -4.493 10.027" Properties=species:S:1:pos:R:3 pbc="T T T"
Cl 2.610 -7.054 3.819
Cl 0.494 -1.721 2.063
F -0.862 -1.711 -1.220
Tl 2.058 -5.131 1.514
F 2.060 -0.430 -0.852
Tl 1.047 -3.643 4.368
Pu 0.000 0.000 0.000
```

---

4.
A plane-wave DFT calculation with PBE was carried out for a relaxed PuTl2Cl3F3 crystal.

DOS at the Fermi energy: 10.19 states/eV/f.u.
Electronic total energy: -5.39 eV per atom
Size of the total moment: 4.04 μB/f.u.

Cell and atoms, written as extended XYZ:
```
9
Lattice="3.713 0.000 0.000 0.000 7.940 0.000 0.000 -3.970 6.876" Properties=species:S:1:pos:R:3 pbc="T T T"
Tl 1.857 0.000 4.584
Cl 0.000 -1.424 2.466
F 1.857 -3.236 5.605
Cl 0.000 2.546 4.410
Cl 0.000 2.848 0.000
F 1.857 0.734 1.271
F 1.857 6.472 0.000
Tl 1.857 3.970 2.292
Pu 0.000 0.000 0.000
```

---

5.
A plane-wave DFT calculation with PBE was carried out for a relaxed RbCl2F7 crystal.

DOS at the Fermi energy: 1.30 states/eV/f.u.
Electronic total energy: -2.74 eV per atom
Size of the total moment: 0.00 μB/f.u.

Cell and atoms, written as extended XYZ:
```
10
Lattice="4.336 0.000 0.000 0.000 6.136 0.000 0.000 -3.068 6.838" Properties=species:S:1:pos:R:3 pbc="T T T"
Rb 0.000 0.000 0.000
Cl 2.168 3.068 2.022
F 2.168 1.763 4.918
Cl 2.168 0.000 4.816
F 0.000 3.068 1.947
F 2.168 3.068 0.000
F 0.000 0.000 4.891
F 2.168 4.831 1.920
F 2.168 -1.763 4.918
F 2.168 1.305 1.920
```

---

6.
A plane-wave DFT calculation with PBE was carried out for a relaxed Rb2ClF crystal.
So much for the crystal structures
“Yeah, Sunshine?”
“Are you still mad at me?” The pain in her voice had him pulling over to the side of the road so he could look into her eyes for what he had to say.
“For a while I was mad,” he started, noting the drop of her eyes as he said it. “But not once was I mad at you. I was mad that you were in pain and we couldn’t help you. Hell, you didn’t even know who we were until you woke up.” Her eyes flew to his at that. Smiling gently, he continued. “I was fucking pissed that you left, but Kennedy, more than anything I was worried. Worried you were hurting alone. But mad at you? I’ve never been mad at you.”
The tears on her lashes teetered on the edge of falling when she grabbed his hand and hugged it to her chest whispering gratefully, “Thank you.”
Leaning over to her he placed a soft kiss on her forehead before starting the vehicle and continuing on again.
As they pulled into her parent’s drive a short time later, her dad, Jackson, was sitting on one of the rockers on the porch. She immediately began crying and shaking her head whispering, “I’m not ready.” As soon as Jackson saw them he stood up. Creed could see the shock written across his features.
When a hopeful light entered his eyes as he locked them on her, Creed knew they might have to push her into getting out.
Looking in the back to Linc he told him, “I’ll be right back,” knowing he had to give Jackson forewarning not to mess with her head and prepare them for her turmoil.
Climbing out, he took one last look at her shattered face and that resolved him to do what needed to be done. Walking up to Jackson, who had yet to take his eyes off her shadowy form in the front seat, he extended his hand with a short greeting. “Sir.”
“Young man, tell me that is my baby girl in there,” he demanded and Creed could hear how choked up he was.